## Listing
- - -
No. 1
Starting from the GGA-PBE geometry in Alexandria, the XRD peak list of SmRu2 was simulated for Cu Ka.

Main lines, by angle (2θ = 5–70°):
two_theta	I (rel.)
33.84	37
35.45	83
39.34	100
39.57	13
40.56	69
44.21	10
44.41	10
61.59	31
64.25	21
65.41	29

Cell and atoms:
Cell lengths 5.2974, 5.2974, 9.1104 Å; angles 90.00, 90.00, 120.00 degrees
Sites, in units of the cell vectors:
Sm: 0.3333 0.6667 0.0668
Sm: 0.3333 0.6667 0.4332
Sm: 0.6667 0.3333 0.5668
Sm: 0.6667 0.3333 0.9332
Ru: 0.0000 0.0000 0.0000
Ru: 0.0000 0.0000 0.5000
Ru: 0.1694 0.3387 0.7500
Ru: 0.1694 0.8306 0.7500
Ru: 0.3387 0.1694 0.2500
Ru: 0.6613 0.8306 0.7500
Ru: 0.8306 0.1694 0.2500
Ru: 0.8306 0.6613 0.2500


No. 2
Starting from the GGA-PBE geometry in Alexandria, the XRD peak list of Sm3Sn4Ru2 was simulated for Cu Ka.

Main lines, by angle (2θ = 5–70°):
two_theta	I (rel.)
30.49	49
31.44	100
31.80	65
32.48	31
37.91	57
38.71	23
39.21	60
50.76	18
55.30	16
60.90	16

Cell and atoms:
Cell lengths 6.1070, 6.1070, 8.7359 Å; angles 107.27, 107.27, 45.74 degrees
Sites, in units of the cell vectors:
Sm: 0.0000 0.0000 0.0000
Sm: 0.3716 0.3716 0.3131
Sm: 0.6284 0.6284 0.6869
Sn: 0.0906 0.0906 0.3965
Sn: 0.2909 0.2909 0.9187
Sn: 0.7091 0.7091 0.0813
Sn: 0.9094 0.9094 0.6035
Ru: 0.3180 0.3180 0.6301
Ru: 0.6820 0.6820 0.3699


No. 3
Starting from the GGA-PBE geometry in Alexandria, the XRD peak list of Sm12SnRu5 was simulated for Cu Ka.

Main lines, by angle (2θ = 5–70°):
two_theta	I (rel.)
29.64	29
31.38	100
33.28	66
33.78	86
34.44	66
34.82	34
37.87	35
52.16	29
57.43	24
58.98	36

Cell and atoms:
Cell lengths 8.5767, 8.5767, 8.5767 Å; angles 112.72, 110.41, 105.37 degrees
Sites, in units of the cell vectors:
Sm: 0.0387 0.2291 0.8096
Sm: 0.1785 0.2761 0.4547
Sm: 0.1785 0.7239 0.9024
Sm: 0.3273 0.0134 0.6861
Sm: 0.3273 0.6412 0.3139
Sm: 0.4195 0.2291 0.1904
Sm: 0.5805 0.7709 0.8096
Sm: 0.6727 0.3588 0.6861
Sm: 0.6727 0.9866 0.3139
Sm: 0.8215 0.2761 0.0976
Sm: 0.8215 0.7239 0.5453
Sm: 0.9613 0.7709 0.1904
Sn: 0.5000 0.5000 0.0000
Ru: 0.0000 0.0000 0.0000
Ru: 0.1213 0.6213 0.5000
Ru: 0.3340 0.0000 0.3340
Ru: 0.6660 0.0000 0.6660
Ru: 0.8787 0.3787 0.5000


No. 4
Starting from the GGA-PBE geometry in Alexandria, the XRD peak list of Sm3Sn2Ru2 was simulated for Cu Ka.

Main lines, by angle (2θ = 5–70°):
two_theta	I (rel.)
28.76	29
31.62	52
32.58	69
32.69	72
33.42	64
35.99	94
37.95	100
38.39	43
41.72	28
55.84	31

Cell and atoms:
Cell lengths 5.8265, 8.2841, 14.0677 Å; angles 90.00, 90.00, 90.00 degrees
Sites, in units of the cell vectors:
Sm: 0.1191 0.2222 0.2500
Sm: 0.1191 0.2778 0.7500
Sm: 0.3380 0.5949 0.0930
Sm: 0.3380 0.5949 0.4070
Sm: 0.3380 0.9051 0.5930
Sm: 0.3380 0.9051 0.9070
Sm: 0.6620 0.0949 0.0930
Sm: 0.6620 0.0949 0.4070
Sm: 0.6620 0.4051 0.5930
Sm: 0.6620 0.4051 0.9070
Sm: 0.8809 0.7222 0.2500
Sm: 0.8809 0.7778 0.7500
Sn: 0.1436 0.2500 0.0000
Sn: 0.1436 0.2500 0.5000
Sn: 0.3859 0.6175 0.7500
Sn: 0.3859 0.8825 0.2500
Sn: 0.6141 0.1175 0.7500
Sn: 0.6141 0.3825 0.2500
Sn: 0.8564 0.7500 0.0000
Sn: 0.8564 0.7500 0.5000
Ru: 0.1468 0.5374 0.5910
Ru: 0.1468 0.5374 0.9090
Ru: 0.1468 0.9626 0.0910
Ru: 0.1468 0.9626 0.4090
Ru: 0.8532 0.0374 0.5910
Ru: 0.8532 0.0374 0.9090
Ru: 0.8532 0.4626 0.0910
Ru: 0.8532 0.4626 0.4090


No. 5
Starting from the GGA-PBE geometry in Alexandria, the XRD peak list of Tb3SmRu3 was simulated for Cu Ka.

Main lines, by angle (2θ = 5–70°):
two_theta	I (rel.)
26.23	10
32.25	42
32.34	14
37.44	100
42.06	12
50.21	10
53.99	11
57.53	21
64.26	9
67.49	13

Cell and atoms:
Cell lengths 5.8885, 5.8885, 5.8885 Å; angles 109.54, 109.54, 109.54 degrees
Sites, in units of the cell vectors:
Tb: 0.1953 0.1953 0.6094
Tb: 0.1953 0.6093 0.1953
Tb: 0.6093 0.1953 0.1953
Sm: 0.7821 0.7821 0.7821
Ru: 0.1951 0.6945 0.6945
Ru: 0.6945 0.1951 0.6945
Ru: 0.6945 0.6945 0.1951


No. 6
Starting from the GGA-PBE geometry in Alexandria, the XRD peak list of TbSm3Ru was simulated for Cu Ka.

Main lines, by angle (2θ = 5–70°):
two_theta	I (rel.)
27.82	61
30.53	46
30.92	27
31.44	100
- - -

## Job
Restate the lines earlier on from the one with "61.59" to the one with "29.64" word for word, please.

## Here it is
61.59	31
64.25	21
65.41	29

Cell and atoms:
Cell lengths 5.2974, 5.2974, 9.1104 Å; angles 90.00, 90.00, 120.00 degrees
Sites, in units of the cell vectors:
Sm: 0.3333 0.6667 0.0668
Sm: 0.3333 0.6667 0.4332
Sm: 0.6667 0.3333 0.5668
Sm: 0.6667 0.3333 0.9332
Ru: 0.0000 0.0000 0.0000
Ru: 0.0000 0.0000 0.5000
Ru: 0.1694 0.3387 0.7500
Ru: 0.1694 0.8306 0.7500
Ru: 0.3387 0.1694 0.2500
Ru: 0.6613 0.8306 0.7500
Ru: 0.8306 0.1694 0.2500
Ru: 0.8306 0.6613 0.2500


No. 2
Starting from the GGA-PBE geometry in Alexandria, the XRD peak list of Sm3Sn4Ru2 was simulated for Cu Ka.

Main lines, by angle (2θ = 5–70°):
two_theta	I (rel.)
30.49	49
31.44	100
31.80	65
32.48	31
37.91	57
38.71	23
39.21	60
50.76	18
55.30	16
60.90	16

Cell and atoms:
Cell lengths 6.1070, 6.1070, 8.7359 Å; angles 107.27, 107.27, 45.74 degrees
Sites, in units of the cell vectors:
Sm: 0.0000 0.0000 0.0000
Sm: 0.3716 0.3716 0.3131
Sm: 0.6284 0.6284 0.6869
Sn: 0.0906 0.0906 0.3965
Sn: 0.2909 0.2909 0.9187
Sn: 0.7091 0.7091 0.0813
Sn: 0.9094 0.9094 0.6035
Ru: 0.3180 0.3180 0.6301
Ru: 0.6820 0.6820 0.3699


No. 3
Starting from the GGA-PBE geometry in Alexandria, the XRD peak list of Sm12SnRu5 was simulated for Cu Ka.

Main lines, by angle (2θ = 5–70°):
two_theta	I (rel.)
29.64	29